Churches Don’t Need Celebrities

Churches Don’t Need Celebrities

_Next to the piece, the page also holds materials data_
********
A relaxed structure of LuH3O3. Source: the Materials Project, functional PBE-GGA.

Cell lengths 10.1112, 5.2968, 6.1674 Å; angles 84.32, 90.00, 90.00 degrees
Fractional positions:
O  0.1811  0.2256  0.8278
Lu  0.3297  0.0093  0.0378
O  0.5062  0.7912  0.1503
H  0.3066  0.4097  0.3102
Lu  0.6703  0.9907  0.9622
H  0.1126  0.6896  0.2268
O  0.3057  0.7770  0.7556
O  0.6811  0.7744  0.6722
H  0.4739  0.2402  0.6949
H  0.8874  0.3104  0.7732
H  0.6126  0.3104  0.2732
H  0.6934  0.5903  0.6898
Lu  0.8297  0.9907  0.4622
O  0.0062  0.2088  0.3497
O  0.1943  0.7770  0.2556
H  0.3874  0.6896  0.7268
H  0.0261  0.2402  0.1949
H  0.5261  0.7598  0.3051
H  0.9739  0.7598  0.8051
H  0.1934  0.4097  0.8102
O  0.8057  0.2230  0.7444
O  0.4938  0.2088  0.8497
O  0.9938  0.7912  0.6503
O  0.3189  0.2256  0.3278
H  0.8066  0.5903  0.1898
O  0.6943  0.2230  0.2444
Lu  0.1703  0.0093  0.5378
O  0.8189  0.7744  0.1722

Values from the calculation:
Volume in Å³/atom: 11.74
Energy above the lowest structure with this stoichiometry in meV/atom: 57.9
M_tot in μB/f.u.: 0.000

=====

A relaxed structure of LuH3O3. Source: the Materials Project, functional PBE-GGA.

Cell lengths 6.2256, 6.2256, 3.4634 Å; angles 90.00, 90.00, 120.00 degrees
Fractional positions:
H  0.2771  0.1383  0.2500
H  0.8617  0.1388  0.2500
O  0.0849  0.3990  0.7500
Lu  0.6667  0.3333  0.7500
H  0.8612  0.7229  0.2500
H  0.1388  0.2771  0.7500
O  0.6010  0.6860  0.7500
H  0.1383  0.8612  0.7500
Lu  0.3333  0.6667  0.2500
O  0.3990  0.3140  0.2500
O  0.9151  0.6010  0.2500
O  0.6860  0.0849  0.2500
H  0.7229  0.8617  0.7500
O  0.3140  0.9151  0.7500

Values from the calculation:
Volume in Å³/atom: 8.30
Energy above the lowest structure with this stoichiometry in meV/atom: 53.1
M_tot in μB/f.u.: 0.000

=====

A relaxed structure of LuH3O3. Source: the Materials Project, functional PBE-GGA.

Cell lengths 7.0862, 7.0995, 7.1129 Å; angles 108.74, 111.84, 107.41 degrees
Fractional positions:
Lu  0.4997  0.0112  0.0381
H  0.3199  0.0440  0.3694
H  0.6815  0.0333  0.7196
H  0.1957  0.4106  0.7936
O  0.3234  0.1668  0.4939
O  0.1889  0.5213  0.3421
O  0.5463  0.6989  0.8398
H  0.1696  0.6236  0.4602
H  0.3889  0.6037  0.7937
O  0.1318  0.3001  0.8361
O  0.8079  0.1372  0.3376
O  0.8084  0.6585  0.1429
O  0.6618  0.1543  0.8232
H  0.8264  0.3553  0.5364
O  0.1562  0.8301  0.6783
O  0.8314  0.4867  0.6597
O  0.4849  0.3299  0.1552
O  0.3050  0.8226  0.1372
Lu  0.9872  0.9976  0.4926
O  0.6750  0.8289  0.5107
Lu  0.5041  0.4924  0.4820
H  0.0368  0.7114  0.6793
Lu  0.0216  0.5279  0.0179
H  0.6768  0.6782  0.9953
H  0.7046  0.5393  0.1584
H  0.5524  0.8356  0.3875
H  0.5356  0.1657  0.7040
H  0.3444  0.3139  0.0263

Values from the calculation:
Volume in Å³/atom: 9.88
Energy above the lowest structure with this stoichiometry in meV/atom: 93.4
M_tot in μB/f.u.: 0.000

=====

A relaxed structure of LuH3O3. Source: the Materials Project, functional PBE-GGA.
********
_Here the piece continues_

I worked once on a story about church life for a ministry-oriented magazine. Though not focused on megachurches, I needed to talk with a couple people who had stopped attending one.

Though it took awhile to connect, when I did one of them made a comment that struck me as odd: “I’m not even sure this form of church can survive much longer.”

It wasn’t until later in the day I discovered that this church was about to close. Imploding after the pastor’s forced resignation. As the old saying goes, “This changes everything.”

Celebrity Syndrome

That interview came to mind when I read a book that had released in August of 2022, but I had only become aware of recently when I saw a reference to it in a news story.

I was interested in Celebrities for Jesus since author Katelyn Beaty and I had exchanged a couple emails when she was managing editor of Christianity Today. It was at the tail end of a long freelancing stint with the magazine.

I remember how impressed I was with her being in this position while barely out of her 20s. When I finished her book’s exploration of the problems with attaching celebrity to faith leaders without corresponding accountability, I was even more taken by her abilities.

In an expert combination of insightful reporting and analysis, Beaty lays out a strong case for—as the subtitle puts it: how personas, platforms, and profits are hurting the church.

I particularly liked this observation: “Like all idols, celebrity exacts a price. The feelings of love that it offers, over time, crowd out the actual love that requires proximity—if not daily proximity in the form of marriage or friendship, then certainly the proximity that can only come through vulnerability with other people for the long haul.”

(Or, as a friend puts it: “If they can’t name all their sheep, they aren’t their pastor.”)

Burden of Celebrity

Among the issues Beaty explores is why everyday Christians have placed the burden of celebrity on others as they look to famous Christian leaders to fulfill their spiritual and psychological needs.

Churches Don’t Need Celebrities blog post by Ken Walker Writer. Pictured: An old TV set.I think that partially stems from the American habit of placing importance and status on numbers. The bigger the crowd, the more people watching the service on television or online, and the more money that flows through the online giving portal, the more important this church must be.

Not so, as evidenced by the criticism that many megachurches are a mile wide and an inch deep. One pastor I know is suspicious of the leader of any church with more than several hundred members because of the arrogance they project.

“As soon as you meet them, you can smell it,” he said.

The piece is interrupted by calculated crystals
# 1
Tm2CdIn after structural relaxation. Source: the Materials Project database, functional r2SCAN.

Properties
Calculated formation energy in meV/atom: -477.6

Lattice parameters (Å, degrees): 5.2039 5.2039 5.2039 60.00 60.00 60.00
With the nearest neighbours (Å) after each atom.
Fractional positions:
Tm1 0.2500 0.2500 0.2500  4 Cd 3.19, 4 In 3.19
Tm2 0.7500 0.7500 0.7500  4 Cd 3.19, 4 In 3.19
Cd1 0.0000 0.0000 0.0000  8 Tm 3.19
In1 0.5000 0.5000 0.5000  8 Tm 3.19



# 2
Cd41Ir8 after structural relaxation. Source: the Materials Project database, functional r2SCAN.

Properties
Calculated formation energy in meV/atom: -99.0

Lattice parameters (Å, degrees): 10.1683 10.1683 10.1683 94.82 94.82 94.82
With the nearest neighbours (Å) after each atom.
Fractional positions:
Cd1 0.0000 0.0000 0.0000  6 Cd 3.04, 2 Ir 3.10
Cd2 0.0000 0.5000 0.5000  2 Ir 2.77, 8 Cd 2.96-3.02
Cd3 0.0354 0.2168 0.4032  2 Ir 2.78-2.80, 5 Cd 2.96-3.02
Cd4 0.0502 0.7303 0.8709  2 Ir 2.70-2.74, 3 Cd 2.93-2.98
Cd5 0.0753 0.4490 0.7775  2 Ir 2.73, 5 Cd 2.96-3.05
Cd6 0.1282 0.1780 0.6801  2 Ir 2.74-2.79, 4 Cd 2.93-3.05
Cd7 0.1291 0.9498 0.2697  2 Ir 2.70-2.74, 3 Cd 2.93-2.98
Cd8 0.1780 0.6801 0.1282  2 Ir 2.74-2.79, 4 Cd 2.93-3.05
Cd9 0.2168 0.4032 0.0354  2 Ir 2.78-2.80, 5 Cd 2.96-3.02
Cd10 0.2225 0.9247 0.5510  2 Ir 2.73, 5 Cd 2.96-3.05
Cd11 0.2251 0.4622 0.3315  2 Ir 2.93-2.95, 9 Cd 3.00-3.20
Cd12 0.2623 0.6343 0.6104  2 Ir 2.85-2.88, 8 Cd 2.98-3.18
Cd13 0.2697 0.1291 0.9498  2 Ir 2.70-2.74, 3 Cd 2.93-2.98
Cd14 0.3199 0.8718 0.8220  2 Ir 2.74-2.79, 4 Cd 2.93-3.05
Cd15 0.3315 0.2251 0.4622  2 Ir 2.93-2.95, 9 Cd 3.00-3.20
Cd16 0.3657 0.3896 0.7377  2 Ir 2.85-2.88, 8 Cd 2.98-3.18
Cd17 0.3896 0.7377 0.3657  2 Ir 2.85-2.88, 8 Cd 2.98-3.18
Cd18 0.4032 0.0354 0.2168  2 Ir 2.78-2.80, 5 Cd 2.96-3.02
Cd19 0.4490 0.7775 0.0753  2 Ir 2.73, 5 Cd 2.96-3.05
Cd20 0.4622 0.3315 0.2251  2 Ir 2.93-2.95, 9 Cd 3.00-3.20
Cd21 0.5000 0.0000 0.5000  2 Ir 2.77, 8 Cd 2.96-3.02
Cd22 0.5000 0.5000 0.0000  2 Ir 2.77, 8 Cd 2.96-3.02
Cd23 0.5000 0.5000 0.5000  12 Cd 3.12-3.13
Cd24 0.5378 0.6685 0.7749  2 Ir 2.93-2.95, 9 Cd 3.00-3.20
Cd25 0.5510 0.2225 0.9247  2 Ir 2.73, 5 Cd 2.96-3.05
Cd26 0.5968 0.9646 0.7832  2 Ir 2.78-2.80, 5 Cd 2.96-3.02
Cd27 0.6104 0.2623 0.6343  2 Ir 2.85-2.88, 8 Cd 2.98-3.18
Cd28 0.6343 0.6104 0.2623  2 Ir 2.85-2.88, 8 Cd 2.98-3.18
Cd29 0.6685 0.7749 0.5378  2 Ir 2.93-2.95, 9 Cd 3.00-3.20
Cd30 0.6801 0.1282 0.1780  2 Ir 2.74-2.79, 4 Cd 2.93-3.05
Cd31 0.7303 0.8709 0.0502  2 Ir 2.70-2.74, 3 Cd 2.93-2.98
Cd32 0.7377 0.3657 0.3896  2 Ir 2.85-2.88, 8 Cd 2.98-3.18
Cd33 0.7749 0.5378 0.6685  2 Ir 2.93-2.95, 9 Cd 3.00-3.20
Cd34 0.7775 0.0753 0.4490  2 Ir 2.73, 5 Cd 2.96-3.05
Cd35 0.7832 0.5968 0.9646  2 Ir 2.78-2.80, 5 Cd 2.96-3.02
Cd36 0.8220 0.3199 0.8718  2 Ir 2.74-2.79, 4 Cd 2.93-3.05
Cd37 0.8709 0.0502 0.7303  2 Ir 2.70-2.74, 3 Cd 2.93-2.98
Cd38 0.8718 0.8220 0.3199  2 Ir 2.74-2.79, 4 Cd 2.93-3.05
Cd39 0.9247 0.5510 0.2225  2 Ir 2.73, 5 Cd 2.96-3.05
Back to the piece

Ironically, Beaty traces the fascination with TV preachers to the influence of Billy Graham. Though the late evangelist was never tainted by scandal, using the medium to attract huge crowds to his meetings also helped turn the gospel into another form of entertainment. You know, something you could watch while cooking dinner, doing the laundry or, today, scanning your smartphone or tablet.

Ordinary Believers

While I recommend Beaty’s book, we should avoid painting all church-goers with the brush of celebrity seekers. There are many ordinary folks in pews today who quietly live out their beliefs in faithful fashion.

• Next to the entry, the page also holds materials data:
-- begin --
(1)
Entry from the Materials Project: LiCoGeO4 after structural relaxation (PBE+U).

Unit cell a=5.1182 b=5.7161 c=8.0547 alpha=90.00 beta=129.38 gamma=90.00
Space group Pc (No. 7)
One atom of each set of equivalent atoms:
1 Li 0.0000 0.1607 0.0000 (multiplicity 2)
2 Co 0.2455 0.3278 0.7459 (multiplicity 2)
3 Ge 0.7534 0.3484 0.2496 (multiplicity 2)
4 O 0.0772 0.3730 0.2280 (multiplicity 2)
5 O 0.3959 0.2119 0.0120 (multiplicity 2)
6 O 0.6350 0.3682 0.7730 (multiplicity 2)
7 O 0.9203 0.1780 0.4841 (multiplicity 2)

***

(2)
Entry from the Materials Project: LiCoGeO4 after structural relaxation (PBE+U).

Summary:
**Maximum piezoelectric response**: 0.9 C/m2

Unit cell a=5.1407 b=5.4299 c=8.3583 alpha=90.00 beta=127.80 gamma=90.00
Space group Pc (No. 7)
One atom of each set of equivalent atoms:
1 Li 0.0000 0.1702 0.0000 (multiplicity 2)
2 Co 0.5069 0.1693 0.5064 (multiplicity 2)
3 Ge 0.7524 0.3200 0.2499 (multiplicity 2)
4 O 0.1091 0.2717 0.2646 (multiplicity 2)
5 O 0.4213 0.1572 0.0339 (multiplicity 2)
6 O 0.6707 0.3613 0.7366 (multiplicity 2)
7 O 0.8252 0.1738 0.4642 (multiplicity 2)

***

(3)
Entry from the Materials Project: Li3Co2Ge2O8 after structural relaxation (PBE+U).

Summary:
**Maximum piezoelectric response**: 1.1 C/m2

Unit cell a=5.1492 b=5.5604 c=6.5303 alpha=89.77 beta=89.31 gamma=89.87
Space group P1 (No. 1)
One atom of each set of equivalent atoms:
1 Li 0.0000 0.0000 0.0000 (multiplicity 1)
2 Li 0.0082 0.5068 0.7485 (multiplicity 1)
3 Li 0.5061 0.3392 0.4935 (multiplicity 1)
4 Co 0.5100 0.3380 0.9936 (multiplicity 1)
5 Co 0.9989 0.0001 0.4853 (multiplicity 1)
6 Ge 0.5039 0.8464 0.7512 (multiplicity 1)
7 Ge 0.9976 0.4948 0.2455 (multiplicity 1)
8 O 0.0734 0.8091 0.2557 (multiplicity 1)
9 O 0.1109 0.3382 0.4753 (multiplicity 1)
10 O 0.1272 0.3575 0.0202 (multiplicity 1)
11 O 0.1504 0.8559 0.7329 (multiplicity 1)
12 O 0.6092 0.5423 0.7568 (multiplicity 1)
13 O 0.6131 0.0086 0.9626 (multiplicity 1)
14 O 0.6334 0.0028 0.5315 (multiplicity 1)
15 O 0.6625 0.4469 0.2427 (multiplicity 1)

***

(4)
Entry from the Materials Project: Li2CoGe3O8 after structural relaxation (PBE+U).

Unit cell a=8.3004 b=8.3004 c=8.3004 alpha=90.00 beta=90.00 gamma=90.00
Space group P2_13 (No. 198)
One atom of each set of equivalent atoms:
1 Li 0.0002 0.0002 0.0002 (multiplicity 4)
2 Li 0.1257 0.8743 0.3743 (multiplicity 4)
3 Co 0.2487 0.2487 0.2487 (multiplicity 4)
4 Ge 0.1246 0.6279 0.1301 (multiplicity 12)
5 O 0.1020 0.1283 0.3933 (multiplicity 12)
6 O 0.1116 0.6116 0.8884 (multiplicity 4)
7 O 0.1193 0.1471 0.8564 (multiplicity 12)
8 O 0.1365 0.3635 0.6365 (multiplicity 4)

***

(5)
Entry from the Materials Project: Li3Co2Ge2O8 after structural relaxation (PBE+U).

Unit cell a=5.1405 b=5.6106 c=6.3218 alpha=89.75 beta=89.94 gamma=89.37
Space group P1 (No. 1)
One atom of each set of equivalent atoms:
1 Li 0.0000 0.0000 0.0000 (multiplicity 1)
2 Li 0.0016 0.9969 0.5011 (multiplicity 1)
3 Li 0.4935 0.6695 0.9986 (multiplicity 1)
-- stop --

As Beaty says, one reason she remains in church is other Christians: “Ordinary, flawed, messy humans, working out what it means to love God and neighbor, day in and day out, without fanfare or praise.”

I know the feeling.